Launch - 11 September 2021
A number of people have taken a keen interest in this car since the project began. With the car finally finished, it was decided to host an event where all of the people could get to see the car, but more importantly, pay tribute to all the talented craftsmen who were involved in this project and contributed to the build of this car.
The event was held at 'Wat Swaai Jy?' in Pretoria, a classic car facility owned by the husband-and-wife team of Corber and Nadia Viljoen, who not only service, sell and store classic cars, but also offer a meeting place for clubs and launches. There is also an independent onsite detailing studio.
I made a short speech:
"A very warm welcome to everyone and I am delighted that you have joined us today.
People probably wonder why I would want to host an event like this, and for me its all about sharing and gratitude.
When I was a boy of maybe nine or ten years old, I remember seeing some new exotic car pull into a parking spot and I walked up to the owner as he was closing the door and asked him if I could look inside. He answered no and walked off. I often thought back on this and over time I have made a promise to myself never to be that person.
A friend of mine posted something on WhatsApp not so long ago which made an impact. He said: “Own something special – it doesn’t matter what it is but own it!’
Now, there are a number of us here today who own something special, and I think with that comes a responsibility and an obligation to share it. This is me saying to everyone: ‘Come, come have a look, come touch and feel it and share in my excitement, because it is very, very exciting to finally be finished. Never be that person who dismisses that boy (that boy could be 60 years old) who wants to have a closer look.
During the build of this project, I have encountered many extraordinary people. A project like this is never just one person’s work, but the sum of many contributions and I think it is important to acknowledge and pay tribute to the people that have helped make my dream a reality. I am well aware that for many of these craftsmen, their contribution has been far more that what they have been compensated and for that I am grateful.
At the start of this project, I bought a 1:18 scale model of the Rote Sau to use as a reference. These official scale models are usually very accurate, and I took the model and car to Henry Dearlove at Speedspot to get him to build the roll cage. The brief was to build the roll cage so that it looked like the original through the glass, but on Henry’s suggestion, it conformed to modern requirements with cross bracing in the roof, side impact bars and a safety bar behind the seats. Henry also built the exhaust manifold following the arrangement on the scale model, and this was built with the engine in place. There is absolutely no space to work on a 6.3, so this is a major achievement.
Wilco and I visited AMG in 2013 to check out the Mercedes-Benz replica. During the visit, we took a whole lot of photos of the car, using hands or fingers to get a sense of perspective in the photos. Once the rims had been made, I took this pack of photos to Leon Wannenburg and said: “Here! Build me this.” Leon’s work was phenomenal, and all those wheel arch extensions have been painstakingly made out of steel. The modification to the rear wheel arch was extensive with high cuts into the fender and all the modifications neatly filled in with steel panels. It has been beautifully done.
In March 2018, the car was stripped down and sent for paint to Anton Raaths. Up to this point the car was just going to be a nice presentable race car and I wasn’t going to spend a fortune of the paint job. However, when we got the car back a few months later, the paint job was beyond anything that I had expected. Anton spent hours cleaning the bottom of the car and we got it back painted top and bottom. I was completely blown away with how it looked and it’s because of this that the project took on a new path and became a high-quality restoration.
One of the details that you will notice about the car is the quality of the interior wood and leather. I thought it was important to retain the wood, and the wood was restored by Shelton Manuel in Cape Town. Shelton is also responsible for re-making the door panels – the heavy hardboard backing has been replaced by laser cut aluminium and upholstered in leather. The dashboard has been stitched and upholstered in suede to look period correct, and the seats were re-done as well – Shelton’s work is superb and I’m grateful for his contribution.
Many enjoyable weekends were spent with my good friend Alan Zeederburg working on the wiring of the car. I have known Alan since a teenager, and he has become a good friend. Not only is he a dyed-in-the-wool classic car enthusiast, but probably the best sparky in the world as far as I am concerned. Alan was very accommodating and the wiring on this car has all the hard old wires replaced, new features like the spotlights wired in, with everything re-sleeved using original plugs and fittings. Alan has taught me the black art of soldering, as well as splicing and joining wires properly. It was great fun, and thanks for your contribution, Alan.
I met Alan Poulter a few years ago through Chris Carlisle-Kits, and Alan has become a very close friend. He was responsible for the gearbox overhaul, the clutch conversion part 2 and the engine rebuild. Many, many hours of care went into that engine, and it has been built to a very high standard. I think the engine block has been apart five times because he wasn’t happy with something, and Alan doesn’t take short cuts. He has a work ethic that is rare today, generous with his time, an all-round good oke and a gentleman.
Alan, thank you for all the time and effort that you have put into this car, and for all your support.
The engineering on the engine was done by Kevin Brink at Allan Y. Brink Engineering. Once again things didn’t go according to plan, and I want to thank Kevin for finding holes under the valves seats once they had been fitted that we didn’t know were there. Thanks for your efforts, Kevin.
This car would never run if it weren’t for Rolf Frommjohan of TW Diesel in Witbank, who has breathed his magic on the complex Bosch mechanical fuel injection system. Rolf is a fundi on anything Bosch, having done his apprenticeship with Bosch in Germany back in the early 70s, at a time when Porsche were sending the fuel pumps of the iconic 917 back to Bosch to be set-up for the next race.
Rolf, thanks for all that you have done, and I know that there is more work in that car than what you have charged me.
**Calculated crystals from another source follow**
## Dy3Tl3InS8 (PBE)

Data for Dy3Tl3InS8 after structural relaxation.

The structure belongs to space group R-3m (No. 166, hexagonal axes); the cell edges are 7.9820, 7.9820 and 22.0287 Å and the angles 90.00°, 90.00° and 120.00°. The asymmetric unit holds Dy at (0.0000, 0.5000, 0.0000), Tl at (0.0000, 0.5000, 0.5000), In at (0.0000, 0.0000, 0.0000), S at (0.0000, 0.0000, 0.2657) and S at (0.0075, 0.5038, 0.7331).

As for the uncorrected formation energy: -1218 meV/atom.



## AcGaCu3 (PBE)

Data for AcGaCu3 after structural relaxation.

The structure belongs to space group Pnma (No. 62); the cell edges are 8.9347, 4.3619 and 9.7835 Å and the angles 90.00°, 90.00° and 90.00°. The asymmetric unit holds Ac at (0.1861, 0.2500, 0.0035), Ga at (0.0709, 0.2500, 0.3673), Cu at (0.0789, 0.2500, 0.6412), Cu at (0.1595, 0.7500, 0.2303) and Cu at (0.1598, 0.7500, 0.7754).

The formation energy is -0.18 eV/atom.



## Zr3PtCl (PBE)

Data for Zr3PtCl after structural relaxation.

The structure belongs to space group Pm-3m (No. 221); the cell edges are 4.7113, 4.7113 and 4.7113 Å and the angles 90.00°, 90.00° and 90.00°. The asymmetric unit holds Zr at (0.0000, 0.0000, 0.5000), Pt at (0.5000, 0.5000, 0.5000) and Cl at (0.0000, 0.0000, 0.0000).

As for the uncorrected formation energy: -120 meV/atom.



## K2HfZr (PBE)

Data for K2HfZr after structural relaxation.

The structure belongs to space group Fm-3m (No. 225); the cell edges are 8.0337, 8.0337 and 8.0337 Å and the angles 90.00°, 90.00° and 90.00°. The asymmetric unit holds K at (0.2500, 0.2500, 0.2500), Hf at (0.0000, 0.0000, 0.0000) and Zr at (0.0000, 0.0000, 0.5000).

The formation energy is 1.68 eV/atom.



## Sm4Sb2TeP (PBE)

Data for Sm4Sb2TeP after structural relaxation.

The structure belongs to space group P2/m (No. 10); the cell edges are 7.5630, 4.3623 and 7.6076 Å and the angles 90.00°, 109.23° and 90.00°. The asymmetric unit holds Sm at (0.2354, 0.0000, 0.2311), Sm at (0.2450, 0.5000, 0.7647), Sb at (0.5000, 0.0000, 0.0000), Sb at (0.5000, 0.5000, 0.5000), Te at (0.0000, 0.0000, 0.5000) and P at (0.0000, 0.5000, 0.0000).

As for the uncorrected formation energy: -1333 meV/atom.



## SmYTmIn (PBE)

Data for SmYTmIn after structural relaxation.

The structure belongs to space group F-43m (No. 216); the cell edges are 7.7372, 7.7372 and 7.7372 Å and the angles 90.00°, 90.00° and 90.00°. The asymmetric unit holds Sm at (0.0000, 0.0000, 0.0000), Y at (0.2500, 0.2500, 0.2500), Tm at (0.0000, 0.0000, 0.5000) and In at (0.2500, 0.2500, 0.7500).

The formation energy is -0.11 eV/atom.



## KCu3F6 (PBE)

Data for KCu3F6 after structural relaxation.
There are many details on this car that would go unnoticed if it weren’t pointed out, like the main fuel tank. The original steel fuel tank was sent to Barry Ashmole of Classic Car Garage in Stellenbosch with the brief to replicate it in aluminium. And that’s exactly what has been done – the tank has been formed by hand from aluminium sheet, ribbed like the original and baffled inside. I am awed by his talent and you can read up about the build of this fuel tank on the website. Barry is not here today, but I would like to acknowledge his contribution.
From the start of this project the rims have been a compromise that has irritated me. It’s one of the features that was so obviously wrong with the car, but about a year ago I was referred to Theo de Groot at Motorworx. Theo has a fascinating operation and does, among others, all the rims for the Cobra boys and for Bailey Cars. Theo was very willing to take on the project of re-producing the rims, and this has been a monumental effort on his part. It has taken a lot of patience and perseverance from his side to keep going, because not much went according to plan. However, the results are spectacular, and I am very pleased indeed.
Theo, I cannot see how you have made a cent out of this, but it is a feather in your cap, because out of all the replicas that have been built so far around the world, only this car and Mercedes’ own car have got the rims right. You can be very proud of what you have achieved, and I am hugely grateful for your contribution.
I would also like to thank Richard Gilson and his team at Grit for spending hours to do the final spit and polish on the car.
Finally, I would like to thank Wilco, my partner of 21 years. As I said at Chris’ memorial, there are few of us car guys who have partners who support our interest. There are even fewer of us that have partners that not only support it, but actively encourage it. Wilco has been that person to me and has pretty much been a garage widow for the past few years. He has never complained and would often walk down into the garage to find out if I wanted something to drink or eat, and just generally find out what I was up to.
THAT sort of support is priceless and am the luckiest guy alive.
Thanks again to everyone who has contributed to making my dream a reality."

From left to right:
Leon Wannenburg (Bodywork); Grant Viljoen (Owner); Rolf and Rolfie Frommjohan (Fuel Injection), Alan Poulter (Engine & Gearbox) and Alan Zeederberg (Electrics).